Under the new agreement with the October deadline, the City of Hamilton will be required to submit weekly progress reports to the province. Clean-up efforts have been delayed due to various interruptions from the Haudenosaunee Development Institute. Photo credit: CBC/Patrick Morreel
The City of Hamilton now has until October 31, 2023, to dredge sewage out of Chedoke Creek.
The city was ordered by the Ontario Government to dredge the creek, a process which involves vacuuming up 22,000 tonnes of polluted sediment from the waterway.
The order came after revelations of a sizeable four-year sewage leak, dubbed “Sewergate,” that spilled 24 billion litres of untreated water into the creek.
The $6-million project was scheduled to start on August 18, 2022. The city was supposed to complete decontamination by December 31, 2022, but had to put the process on hold due to a dispute with a local Indigenous group.
The City of Hamilton then asked the Ontario Ministry of Environment, Conservation, and Parks (MECP) for a one-year extension to the deadline. An extension was granted and the new deadline was set for December 31, 2023.
But then, wanting to prevent further ecological impacts, the province issued permits allowing the city to begin as soon as possible and moved up the dredging deadline to August 31, 2023.
That move caught the city off guard and Hamilton City Councillors voted 6-5 during a March 9 meeting to submit an appeal asking for the December 2023 deadline to be reinstated.
Before the appeal could even be filed, city officials announced that they had reached a compromise with MECP to complete dredging by October 31, 2023.
Under the new agreement with the October deadline, the City of Hamilton will be required to submit weekly progress reports to the Ministry.
However, it still remains unclear how the city will resolve the ongoing situation with the Haudenosaunee Development Institute (HDI), an Indigenous group made up of hereditary Six Nations leaders.
When the city began clean-up of the creek, HDI staged various interruptions, saying that the municipality needs to seek consent prior to any clean-up activities and that HDI must have an active role in monitoring the project.
The contractor in charge of the clean-up, Milestone Environmental, reported nearly 40 “incidents of disruption,” including “dangerous” intrusions into construction areas.
Equipment has also been stolen from the site. As a result, decontamination had to stop and the group said that they will only restart work when a safe workplace can be guaranteed.
The province says that the municipal government must deal with the situation.
HSI also wants the city to pay them almost one million dollars, claiming that they need $350,000 in compensation plus $585,000 to place multiple individuals on standby to monitor the project at a cost of $15,000 a day.
It should be noted that Hamilton City Council already has agreements with and has compensated the Mississaugas of the Credit, Six Nations of the Grand River elected band council, and Huron-Wendat Nation. Each group received $40,000 from the city.
The amount HDI is asking for is about 23 times the amount that other groups received.
The city is reportedly open to Indigenous monitoring, but there are worries that “seeking consent” for the project will be a precedent-setting action that will mean the city will be required to seek consent to any number of future municipal projects.
Municipal staff are also reportedly only open to covering some of the monitoring costs, nowhere near the almost one million dollars that is being demanded.
The key difference between the Six Nations of the Grand River council (with which the City already has an agreement) is that the entity is an elected body, while HDI is a group of hereditary leaders.
Indigenous elected councils and hereditary councils have been at odds on a number of issues over the years, and the internal governance conflicts make for difficult Indigenous-municipal relationships.

(What comes next are calculated crystals, not part of the article)
=====
1.
The following is a theoretical powder X-ray diffraction pattern of SmScInRu. It was derived from a cell relaxed with GGA-PBE, using CuKα.
Lines closer than 0.1° are merged.

Most intense lines, 10 to 90 degrees two-theta, most intense first:
2θ = 35.0°, d = 2.561 Å, rel. 100
2θ = 38.1°, d = 2.360 Å, rel. 48
2θ = 66.9°, d = 1.398 Å, rel. 29
2θ = 29.0°, d = 3.080 Å, rel. 27
2θ = 55.0°, d = 1.669 Å, rel. 16
2θ = 11.1°, d = 7.988 Å, rel. 14
2θ = 51.8°, d = 1.766 Å, rel. 13
2θ = 33.7°, d = 2.663 Å, rel. 11
2θ = 60.7°, d = 1.525 Å, rel. 10
2θ = 64.7°, d = 1.441 Å, rel. 9
2θ = 89.9°, d = 1.091 Å, rel. 8
2θ = 43.5°, d = 2.082 Å, rel. 7

Structure:
```
SmScInRu
1.0
3.338 0.000 0.000
0.000 3.338 0.000
0.000 0.000 7.988
Sm Sc In Ru
1 1 1 1
direct
0.000 0.000 0.000
0.000 0.000 0.589
0.500 0.500 0.319
0.500 0.500 0.765
```

=====

2.
The following is a theoretical powder X-ray diffraction pattern of PuBeB. It was derived from a cell relaxed with GGA-PBE, using CuKα.
Lines closer than 0.1° are merged.

Most intense lines, 10 to 90 degrees two-theta, most intense first:
2θ = 22.7°, d = 3.914 Å, rel. 100
2θ = 40.0°, d = 2.254 Å, rel. 56
2θ = 39.7°, d = 2.272 Å, rel. 53
2θ = 32.1°, d = 2.789 Å, rel. 47
2θ = 62.6°, d = 1.484 Å, rel. 27
2θ = 46.0°, d = 1.972 Å, rel. 18
2θ = 63.0°, d = 1.476 Å, rel. 14
2θ = 62.4°, d = 1.489 Å, rel. 14
2θ = 51.9°, d = 1.761 Å, rel. 13
2θ = 52.6°, d = 1.740 Å, rel. 11
2θ = 71.9°, d = 1.314 Å, rel. 10
2θ = 77.5°, d = 1.232 Å, rel. 8

Structure:
```
PuBeB
1.0
5.578 0.000 0.000
0.000 5.578 0.000
0.000 0.000 5.494
Pu Be B
4 4 4
direct
0.240 0.240 0.000
0.260 0.740 0.250
0.740 0.260 0.750
0.760 0.760 0.500
0.148 0.148 0.500
0.352 0.648 0.750
0.648 0.352 0.250
0.852 0.852 0.000
0.108 0.892 0.750
0.392 0.392 0.500
0.608 0.608 0.000
0.892 0.108 0.250
```

=====

3.
The following is a theoretical powder X-ray diffraction pattern of NaAcPb2I8. It was derived from a cell relaxed with GGA-PBE, using CuKα.
Lines closer than 0.1° are merged.

Most intense lines, 10 to 90 degrees two-theta, most intense first:
2θ = 24.7°, d = 3.604 Å, rel. 100
2θ = 39.1°, d = 2.304 Å, rel. 83
2θ = 32.4°, d = 2.762 Å, rel. 78
2θ = 32.6°, d = 2.744 Å, rel. 72
2θ = 16.3°, d = 5.432 Å, rel. 58
2θ = 25.8°, d = 3.458 Å, rel. 57
2θ = 16.5°, d = 5.364 Å, rel. 57
2θ = 22.0°, d = 4.040 Å, rel. 50
2θ = 37.3°, d = 2.409 Å, rel. 47
2θ = 24.8°, d = 3.584 Å, rel. 47
2θ = 25.5°, d = 3.494 Å, rel. 28
2θ = 41.0°, d = 2.199 Å, rel. 26

Structure:
```
NaAcPb2I8
1.0
7.419 0.000 0.000
0.000 9.636 0.000
-0.100 0.000 7.869
Na Ac Pb I
1 1 2 8
direct
0.000 0.000 0.000
0.000 0.500 0.000
0.500 0.237 0.500
0.500 0.763 0.500
0.245 0.247 0.156
0.245 0.753 0.156
0.253 0.500 0.658
0.258 0.000 0.655
0.742 0.000 0.345
0.747 0.500 0.342
0.755 0.247 0.844
0.755 0.753 0.844
```

=====

4.
The following is a theoretical powder X-ray diffraction pattern of Tb2Cd3Ag3. It was derived from a cell relaxed with GGA-PBE, using CuKα.
Lines closer than 0.1° are merged.
=====
(The calculated crystals stop here)
Based in Hamilton, he reaches hundreds of thousands of people monthly on Facebook, Instagram, TikTok, and Twitter. He has been published in The Hamilton Spectator, Stoney Creek News, and Bay Observer. He has also been a segment host with Cable 14 Hamilton. In 2017, he received the Chancellor Full Tuition Scholarship from the University of Ottawa (BA, 2022). He has also received the Governor General’s Academic Medal. He formerly worked in a non-partisan role on Parliament Hill in Ottawa.